Listing:
┌──
Formula: C91H114Cl4F14N3O23S4
Source: OMol25
Level of theory: ωB97M-V/def2-TZVPD

Cartesian coordinates (Å):
C 1.00447 2.93547 0.92028
C 1.38723 1.55610 0.30223
C 0.37636 0.46199 0.83356
N 0.42224 -0.92172 0.02661
C 1.81017 -1.50889 0.32921
C 1.93507 -2.91451 -0.25319
C 0.92568 -3.84009 0.45065
C -0.45982 -3.33004 0.17190
C -0.69155 -1.86863 0.62978
C 0.31050 -0.75746 -1.49586
H 0.00192 3.15640 0.55397
H 1.66504 3.73218 0.57824
H 0.95441 2.86995 2.00716
H 2.41580 1.41345 0.63358
H 1.38035 1.69497 -0.77887
H -0.68093 0.71124 0.74356
H 0.54185 0.23976 1.88775
H 1.87156 -1.55236 1.41661
H 2.55362 -0.81571 -0.06434
H 2.94763 -3.28055 -0.08337
H 1.88855 -3.06700 -1.33146
H 1.22732 -3.83285 1.49806
H 0.97013 -4.87820 0.12133
H -1.14320 -3.94863 0.75365
H -0.64419 -3.41180 -0.89928
H -0.61761 -1.81834 1.71611
H -1.65806 -1.49035 0.29683
H -0.60855 -0.20499 -1.69135
H 0.37850 -1.73655 -1.97005
H 1.14232 -0.12495 -1.80587
N -3.03205 -0.11721 -1.52762
S -4.15122 -1.08047 -1.76260
O -5.03693 -0.79588 -2.84662
O -4.57983 -1.88172 -0.63018
F -3.27762 -2.22661 -2.52975
S -4.01636 0.91488 -0.66029
O -4.43142 0.58294 0.72247
O -4.91878 1.79937 -1.42423
F -2.92915 2.01634 -0.31045
N -3.74609 1.65160 3.59417
S -3.42505 2.54013 4.83198
O -2.18522 3.32746 4.83615
O -3.89767 2.05169 6.13695
F -4.49778 3.73082 4.62757
S -2.33242 0.77950 3.90038
O -2.26373 -0.08283 5.07906
O -1.11207 1.34820 3.36122
F -2.65374 -0.36434 2.86144
C 4.94496 -1.25894 3.33829
Cl 4.01433 0.13916 2.80299
Cl 4.92154 -2.60287 2.19015
H 5.99531 -0.98314 3.43208
H 4.58451 -1.59527 4.31044
C -1.61389 1.90948 -3.60942
Cl -2.17232 3.31763 -4.55499
Cl -0.47234 0.85650 -4.52075
H -1.20947 2.26591 -2.66205
H -2.48975 1.28912 -3.41938
C 1.23024 4.82973 4.80945
C 0.25687 6.02457 4.78078
O 0.13615 6.63620 3.46111
C -0.62124 7.71572 3.28111
O -1.35486 8.18144 4.13566
O -0.49907 8.04320 2.01821
C -1.46326 8.98641 1.44478
H 2.01501 5.13092 4.11553
H 0.84343 3.93919 4.31405
H 1.62943 4.54825 5.78388
H 0.58509 6.73119 5.54306
H -0.69248 5.56202 5.05073
H -1.52886 8.90087 0.36012
H -1.11410 10.00515 1.61311
H -2.48624 8.95724 1.81997
C -3.02773 -3.14594 3.53876
C -4.07629 -2.70359 4.57255
O -5.36587 -2.98734 4.03183
C -5.88983 -2.03571 3.18468
O -5.46686 -0.86380 2.93128
O -7.05305 -2.40848 2.69063
C -7.40845 -3.73440 2.44103
H -3.28751 -2.82828 2.52895
H -2.93437 -4.23175 3.51844
H -2.02072 -2.78300 3.74444
H -3.99212 -1.65312 4.85099
H -3.92642 -3.32166 5.45778
H -6.85685 -4.12407 1.58545
H -8.48445 -3.75094 2.26765
H -7.23358 -4.29089 3.36181
C -7.92843 7.00367 2.53181
C -6.49355 6.58787 2.57525
O -6.37750 5.35300 1.87030
C -5.28611 4.63299 1.84553
O -5.36661 3.40418 1.69082
O -4.13697 5.34879 1.95628
C -2.90003 4.70903 1.68042
H -8.05413 7.82980 3.23167
H -8.52656 6.26269 3.06218
H -8.41565 7.27656 1.59573
H -6.27496 6.43838 3.63259
H -5.75809 7.31361 2.22812
H -2.96685 4.40188 0.63672
H -2.67386 3.87633 2.34642
H -2.11903 5.46829 1.72123
C 0.18750 -4.59316 5.88444
C 0.74308 -3.55856 4.92085
O 0.61272 -2.32645 5.55721
C 0.98746 -1.27707 4.86641
O 1.38684 -1.27886 3.68233
O 0.96031 -0.24594 5.68097
C 1.53066 1.02840 5.25018
H 0.24404 -5.61342 5.50502
H -0.84633 -4.38093 6.15695
H 0.73086 -4.45111 6.81861
H 0.18406 -3.60304 3.98617
H 1.80280 -3.73093 4.73278
H 2.50671 0.95635 4.77036
H 1.66233 1.63428 6.14666
H 0.92292 1.60766 4.55504
C 5.48825 0.89939 -0.36658
C 5.68984 -0.60613 -0.72843
O 5.65485 -0.76466 -2.10991
C 4.58230 -0.83512 -2.89132
O 3.42315 -0.90528 -2.43018
O 4.89091 -0.84244 -4.19489
C 3.87342 -0.78128 -5.13098
H 5.45745 1.12888 0.69854
H 4.59258 1.40770 -0.72366
H 6.26870 1.48370 -0.85399
H 4.98154 -1.27598 -0.24087
H 6.65954 -0.82429 -0.28101
H 4.44817 -0.78318 -6.05713
H 3.28166 0.13286 -5.08335
H 3.22391 -1.64922 -5.01732
F 0.79333 -6.28855 2.80892
C 2.07369 -6.72501 2.96317
C 3.09322 -6.02394 2.40939
C 4.38641 -6.51584 2.58894
C 4.65423 -7.65153 3.39093
C 3.58523 -8.21282 4.04033
C 2.33551 -7.73627 3.79119
H 2.88514 -5.20076 1.74196
H 5.22982 -6.00357 2.15002
└──

Wanted:
Restate the lines further up up to the one that holds "-2.02072 -2.78300", that line included.

Solution:
Formula: C91H114Cl4F14N3O23S4
Source: OMol25
Level of theory: ωB97M-V/def2-TZVPD

Cartesian coordinates (Å):
C 1.00447 2.93547 0.92028
C 1.38723 1.55610 0.30223
C 0.37636 0.46199 0.83356
N 0.42224 -0.92172 0.02661
C 1.81017 -1.50889 0.32921
C 1.93507 -2.91451 -0.25319
C 0.92568 -3.84009 0.45065
C -0.45982 -3.33004 0.17190
C -0.69155 -1.86863 0.62978
C 0.31050 -0.75746 -1.49586
H 0.00192 3.15640 0.55397
H 1.66504 3.73218 0.57824
H 0.95441 2.86995 2.00716
H 2.41580 1.41345 0.63358
H 1.38035 1.69497 -0.77887
H -0.68093 0.71124 0.74356
H 0.54185 0.23976 1.88775
H 1.87156 -1.55236 1.41661
H 2.55362 -0.81571 -0.06434
H 2.94763 -3.28055 -0.08337
H 1.88855 -3.06700 -1.33146
H 1.22732 -3.83285 1.49806
H 0.97013 -4.87820 0.12133
H -1.14320 -3.94863 0.75365
H -0.64419 -3.41180 -0.89928
H -0.61761 -1.81834 1.71611
H -1.65806 -1.49035 0.29683
H -0.60855 -0.20499 -1.69135
H 0.37850 -1.73655 -1.97005
H 1.14232 -0.12495 -1.80587
N -3.03205 -0.11721 -1.52762
S -4.15122 -1.08047 -1.76260
O -5.03693 -0.79588 -2.84662
O -4.57983 -1.88172 -0.63018
F -3.27762 -2.22661 -2.52975
S -4.01636 0.91488 -0.66029
O -4.43142 0.58294 0.72247
O -4.91878 1.79937 -1.42423
F -2.92915 2.01634 -0.31045
N -3.74609 1.65160 3.59417
S -3.42505 2.54013 4.83198
O -2.18522 3.32746 4.83615
O -3.89767 2.05169 6.13695
F -4.49778 3.73082 4.62757
S -2.33242 0.77950 3.90038
O -2.26373 -0.08283 5.07906
O -1.11207 1.34820 3.36122
F -2.65374 -0.36434 2.86144
C 4.94496 -1.25894 3.33829
Cl 4.01433 0.13916 2.80299
Cl 4.92154 -2.60287 2.19015
H 5.99531 -0.98314 3.43208
H 4.58451 -1.59527 4.31044
C -1.61389 1.90948 -3.60942
Cl -2.17232 3.31763 -4.55499
Cl -0.47234 0.85650 -4.52075
H -1.20947 2.26591 -2.66205
H -2.48975 1.28912 -3.41938
C 1.23024 4.82973 4.80945
C 0.25687 6.02457 4.78078
O 0.13615 6.63620 3.46111
C -0.62124 7.71572 3.28111
O -1.35486 8.18144 4.13566
O -0.49907 8.04320 2.01821
C -1.46326 8.98641 1.44478
H 2.01501 5.13092 4.11553
H 0.84343 3.93919 4.31405
H 1.62943 4.54825 5.78388
H 0.58509 6.73119 5.54306
H -0.69248 5.56202 5.05073
H -1.52886 8.90087 0.36012
H -1.11410 10.00515 1.61311
H -2.48624 8.95724 1.81997
C -3.02773 -3.14594 3.53876
C -4.07629 -2.70359 4.57255
O -5.36587 -2.98734 4.03183
C -5.88983 -2.03571 3.18468
O -5.46686 -0.86380 2.93128
O -7.05305 -2.40848 2.69063
C -7.40845 -3.73440 2.44103
H -3.28751 -2.82828 2.52895
H -2.93437 -4.23175 3.51844
H -2.02072 -2.78300 3.74444